== Exercise ==
Next, count the lines further below that contain the word "Pb" and give the number alone.
== Data ==
- - -
Record 1
# CrSnSe2Br, PBEsol geometry, DFT meta-GGA SCAN
data_CrSnSe2Br
_chemical_formula_sum 'Cr1 Sn1 Se2 Br1'
_cell_length_a 4.887
_cell_length_b 4.887
_cell_length_c 4.876
_cell_angle_alpha 90.00
_cell_angle_beta 90.00
_cell_angle_gamma 90.00
_space_group_name_H-M_alt 'P 1'
_space_group_IT_number 1
_space_group_name_Hall 'P 1'
loop_
_atom_site_label
_atom_site_type_symbol
_atom_site_fract_x
_atom_site_fract_y
_atom_site_fract_z
Cr1 Cr 0.000 0.000 0.000
Sn1 Sn 0.500 0.500 0.500
Se1 Se 0.000 0.500 0.000
Se2 Se 0.500 0.000 0.000
Br1 Br 0.000 0.000 0.500
# - ΔE_f (raw): -289 meV/atom
# - Energy: -23.074 eV per atom

***

Record 2
# LaZnSe, PBEsol geometry, DFT meta-GGA SCAN
data_LaZnSe
_chemical_formula_sum 'La1 Zn1 Se1'
_cell_length_a 3.996
_cell_length_b 3.996
_cell_length_c 5.412
_cell_angle_alpha 90.00
_cell_angle_beta 90.00
_cell_angle_gamma 120.00
_space_group_name_H-M_alt 'P 1'
_space_group_IT_number 1
_space_group_name_Hall 'P 1'
loop_
_atom_site_label
_atom_site_type_symbol
_atom_site_fract_x
_atom_site_fract_y
_atom_site_fract_z
La1 La 0.000 0.000 0.000
Zn1 Zn 0.333 0.667 0.397
Se1 Se 0.667 0.333 0.634
# - ΔE_f (raw): -854 meV/atom
# - Energy: -26.420 eV per atom

***

Record 3
# Mn2CdPb, PBEsol geometry, DFT meta-GGA SCAN
data_Mn2CdPb
_chemical_formula_sum 'Mn2 Cd1 Pb1'
_cell_length_a 5.655
_cell_length_b 5.655
_cell_length_c 5.655
_cell_angle_alpha 147.23
_cell_angle_beta 131.89
_cell_angle_gamma 59.43
_space_group_name_H-M_alt 'P 1'
_space_group_IT_number 1
_space_group_name_Hall 'P 1'
loop_
_atom_site_label
_atom_site_type_symbol
_atom_site_fract_x
_atom_site_fract_y
_atom_site_fract_z
Mn1 Mn 0.000 0.000 0.000
Mn2 Mn 0.780 0.280 0.500
Cd1 Cd 0.535 0.535 0.000
Pb1 Pb 0.263 0.763 0.500
# - Energy of formation from the pure elements: 13 kJ/mol of atoms
# - Energy: -35.540 eV per atom

***

Record 4
# ReAsPBr2, PBEsol geometry, DFT meta-GGA SCAN
data_ReAsPBr2
_chemical_formula_sum 'Re1 As1 P1 Br2'
_cell_length_a 4.787
_cell_length_b 4.787
_cell_length_c 5.100
_cell_angle_alpha 90.00
_cell_angle_beta 90.00
_cell_angle_gamma 90.00
_space_group_name_H-M_alt 'P 1'
_space_group_IT_number 1
_space_group_name_Hall 'P 1'
loop_
_atom_site_label
_atom_site_type_symbol
_atom_site_fract_x
_atom_site_fract_y
_atom_site_fract_z
Re1 Re 0.000 0.000 0.000
As1 As 0.500 0.500 0.000
P1 P 0.500 0.500 0.500
Br1 Br 0.000 0.500 0.500
Br2 Br 0.500 0.000 0.500
# - ΔE_f (raw): 1461 meV/atom
# - Energy: -26.660 eV per atom

* * * * *

# SmSc3O6 PBE-GGA optimized geometry
data_SmSc3O6
_symmetry_space_group_name_H-M 'P 1 21/m 1'
_symmetry_Int_Tables_number 11
_cell_length_a 8.775
_cell_length_b 3.239
_cell_length_c 8.913
_cell_angle_alpha 90.00
_cell_angle_beta 108.22
_cell_angle_gamma 90.00
loop_
_symmetry_equiv_pos_as_xyz
'x,y,z'
'-x,-y,-z'
'-x,y+1/2,-z'
'x,-y+1/2,z'
loop_
_atom_site_label
_atom_site_fract_x
_atom_site_fract_y
_atom_site_fract_z
Sm1 0.060 0.250 0.198
Sc1 0.168 0.250 0.593
Sc2 0.325 0.750 0.992
Sc3 0.457 0.250 0.331
O1 0.075 0.750 0.410
O2 0.122 0.250 0.956
O3 0.208 0.750 0.742
O4 0.285 0.750 0.232
O5 0.395 0.250 0.556
O6 0.466 0.250 0.101
# Size of the total moment   0.0 Bohr magnetons per cell
# DOS(E_F)   0.0 states/eV per cell
# ΔE_f (raw)   -3475 meV/atom

***

# Sm2Sc2O PBE-GGA optimized geometry
data_Sm2Sc2O
_symmetry_space_group_name_H-M 'P 4/m m m'
_symmetry_Int_Tables_number 123
_symmetry_space_group_name_Hall '-P 4 2'
_cell_length_a 5.150
_cell_length_b 5.150
_cell_length_c 4.252
_cell_angle_alpha 90.00
_cell_angle_beta 90.00
_cell_angle_gamma 90.00
loop_
_atom_site_label
_atom_site_fract_x
_atom_site_fract_y
_atom_site_fract_z
Sm1 0.000 0.500 0.000
Sc1 0.000 0.000 0.500
Sc2 0.500 0.500 0.500
O1 0.000 0.000 0.000
# Size of the total moment   0.0 Bohr magnetons per cell
# DOS(E_F)   4.1 states/eV per cell
# ΔE_f (raw)   -1169 meV/atom

***

# Sm3ScO PBE-GGA optimized geometry
data_Sm3ScO
_symmetry_space_group_name_H-M 'P m -3 m'
_symmetry_Int_Tables_number 221
_symmetry_space_group_name_Hall '-P 4 2 3'
- - -
== Reply ==
1